If you wait until you need a deload, you waited to long. Play the long game and don’t be afraid to back off. I’ll take at least two days a week and only walk, even if I feel I could get in a workout that day. It may feel like I’m losing progress in the moment, but I know it’s actually driving long term progress and overall health. (Not that I’m an expert or anything; just an older dude trying to keep it up).
On the one hand, that workout was a missed opportunity: I could’ve gone heavier on almost everything. On the other, the reps were slow and controlled, and the MMC was fantastic.
Sunday - 02 February 2025 Workout: Conditioning, 1130-1150 (20 minutes)
Burpees + KB swings - 32 kg - 25 + 25
Assault bike - 10 minutes
Deloading this week, which will mean cutting stuff in half (or something like that). As it was, I got 6.1+ kilometers and 126 calories in 10 minutes—probably couldn’t sustain that pace for 20 minutes, but I made the most of the 10 minutes I had!
[Between two parts of the article: calculated crystals]
=====
No. 1
Entry from the Materials Project: an optimized crystal structure of KMg14BO16 (PBE).

a b c (Å): 4.4492 8.2158 8.8919
angles (deg): 90.00 90.00 90.00
Fractional coordinates of all 32 atoms:
K  0.0000  0.0000  0.0000
Mg  0.0000  0.0000  0.5000
Mg  0.0000  0.5000  0.5000
Mg  0.5000  0.7411  0.0000
Mg  0.5000  0.2589  0.0000
Mg  0.5000  0.7495  0.5000
Mg  0.5000  0.2505  0.5000
Mg  0.5000  0.0000  0.7479
Mg  0.5000  0.5000  0.7530
Mg  0.5000  0.0000  0.2521
Mg  0.5000  0.5000  0.2470
Mg  0.0000  0.7456  0.7346
Mg  0.0000  0.2544  0.7346
Mg  0.0000  0.7456  0.2654
Mg  0.0000  0.2544  0.2654
B  0.0000  0.5000  0.0000
O  0.0000  0.0000  0.7277
O  0.0000  0.5000  0.7321
O  0.0000  0.0000  0.2723
O  0.0000  0.5000  0.2679
O  0.5000  0.7501  0.7550
O  0.5000  0.2499  0.7550
O  0.5000  0.7501  0.2450
O  0.5000  0.2499  0.2450
O  0.5000  0.0000  0.0000
O  0.5000  0.5000  0.0000
O  0.5000  0.0000  0.5000
O  0.5000  0.5000  0.5000
O  0.0000  0.6669  0.0000
O  0.0000  0.3331  0.0000
O  0.0000  0.7489  0.5000
O  0.0000  0.2511  0.5000

Computed properties:
relative energy among the computed polymorphs: 0.000 eV/atom
energy of formation from the pure elements: -89.148 eV per formula unit
symmetry: Pmmm
calculated total energy: -5.86 eV/atom
volume: 10.16 A^3/atom
theoretical density: 3.30 g/cm³

No. 2
Entry from the Materials Project: an optimized crystal structure of KMg6BO7 (PBE).

a b c (Å): 8.6281 4.4899 4.4899
angles (deg): 90.00 90.00 90.00
Fractional coordinates of all 15 atoms:
K  0.0011  0.0000  0.0000
Mg  0.5015  0.0000  0.0000
Mg  0.4922  0.5000  0.5000
Mg  0.2322  0.0000  0.5000
Mg  0.7588  0.0000  0.5000
Mg  0.2322  0.5000  0.0000
Mg  0.7588  0.5000  0.0000
B  0.9645  0.5000  0.5000
O  0.2760  0.0000  0.0000
O  0.7259  0.0000  0.0000
O  0.8027  0.5000  0.5000
O  0.9959  0.0000  0.5000
O  0.5061  0.0000  0.5000
O  0.9959  0.5000  0.0000
O  0.5061  0.5000  0.0000

Computed properties:
relative energy among the computed polymorphs: 0.209 eV/atom
energy of formation from the pure elements: -30.347 eV per formula unit
symmetry: P4mm
calculated total energy: -5.17 eV/atom
volume: 11.60 A^3/atom
theoretical density: 2.94 g/cm³

No. 3
Entry from the Materials Project: an optimized crystal structure of KMg14BO15 (PBE).

a b c (Å): 4.4728 8.2041 8.8393
angles (deg): 90.00 90.00 90.00
Fractional coordinates of all 31 atoms:
K  0.0000  0.0000  0.0077
Mg  0.0000  0.0000  0.5051
Mg  0.0000  0.5000  0.4981
Mg  0.5000  0.7400  0.9977
Mg  0.5000  0.2600  0.9977
Mg  0.5000  0.7489  0.5058
Mg  0.5000  0.2511  0.5058
Mg  0.5000  0.0000  0.7515
Mg  0.5000  0.5000  0.7567
Mg  0.5000  0.0000  0.2560
Mg  0.5000  0.5000  0.2369
Mg  0.0000  0.7503  0.7459
Mg  0.0000  0.2497  0.7459
Mg  0.0000  0.7425  0.2653
Mg  0.0000  0.2575  0.2653
B  0.0000  0.5000  0.9329
O  0.0000  0.0000  0.7327
O  0.0000  0.0000  0.2786
O  0.0000  0.5000  0.2746
O  0.5000  0.7496  0.7527
O  0.5000  0.2504  0.7527
O  0.5000  0.7493  0.2467
O  0.5000  0.2507  0.2467
O  0.5000  0.0000  0.9967
=====
I’ll be going for easy 5s this week, kinda 5/3/1 TM testing style. While 285 moved well enough, I’d probably go with 265 for a TM because the bar was slowing down a bit and I could feel my sticking point kicking in as I came out of the hole. Still really happy with how all of that went, though.
EMOM, 8 minutes
Clean and press - 95 lbs - 5
Towel hop - remaining time
3 rounds of:
a) HLR - 6
b) Alternating spiderman push-up - 6
c) Cable crunch - 50 lbs - 6
d) Seated calf raise - 190 lbs - 6
Glad I decided to do the clean and press variation during this deload: Now I know I couldn’t do 15 minutes of that at 95 lbs!
Also took the opportunity to reintroduce full-on hanging leg raises (versus the cheat-y knee raise variation I have been doing). Here, I think 6-8 reps will be a good starting point as I move forward.
Ego got in the way and I pushed for 255: Got all the reps, but I probably should’ve racked it after 4 and I likely hit the Simo scale on 5. As it is, 235 would be the TM—start too light and whatnot.
Rest of it was pretty good, nice and easy. Overhead press felt particularly great: Poverty weight, but the reps were super-solid.
Happy with that! Deads were easy 5s for sure, even 300. Well, okay, maybe that top set wasn’t strictly easy, and I’d probably go with 285 for a TM, but it was strong and smooth. Probably easier than my squat top set on Monday and far, far easier than bench on Wednesday.
That said, 65 lbs for one-arm rows is probably a bit heavy, even for just 5 reps: Either too much body english or too little ROM for my liking.
Daily work later, and then just tomorrow’s work before I’m onto Block 2.